Saturday, May 30, 2015

When it rains it pours Morton Salt

As the title states when it rains it pours Morton Salt in my case on my sores. When life gets no crappier then it does. It's bad and getting worse. Our wonderful rain has hindered me again from working on my orchard. I was looking forward to a fruit orchard.

My co worker got Memorial Day off even though it was on her work day. You know what I don't get every other work place would make you work it especially if it's on your scheduled day. I don't know why my work place isn't like that.

My nails I got asked by a lady at the store how do I grow them so long. I've had really long nails since childhood I've never really had to do anything to them. My nails just grow a lot. I got blessed with good genes that allowed me to grow them.

I tried a new hair growth product and method last week. My hair is oily and itchy. I'm going to try it one more time. I'm wondering if I used too much oil. I'm going to try it out with half as much. If it turns out good I'll share more details.

I know this is a short blog but there isn't any to write on. I do apologize for that.

Sunday, May 24, 2015

Rainy day videos cheer me up

I hope my last video on how I cut my bangs would work but I guess it won't. It's a twenty five minute video. I'm going to have to shorten it by doing it on a wig.

Friday, May 22, 2015

My dog days have started

I've been beyond busy. I've had to trace a money order at the post office my post office isn't a fully functioning post office. Therefore, the clerk had to send a request to the post office in St. Louis, Missouri to trace my money order. I'm thinking what's wrong with this picture, seriously why can't each post office keep a hard copy of the canceled and cashed money orders in a record book. I know years ago they did and within an hour or less you knew where your money went. I can't believe technology is this nicely putting it far fetched.

I'm on foot until further notice when life is handed my lemons I get crapped on more. My truck got pulled over for expired tags. I know my luck would run out but it seems like when you're poor you get more crap then the rich.

My dad has  been betrayed by his preacher. He turned him into division of aging. The woman was impressed by the way he keeps house. My dads house is nice, he takes care of himself, and his yard. I can't believe someone would make a case out of my dad asking if he could borrow the law tractor he sold him. I thought churches were to help people. I guess I'm right they're really dens of predictions. I know some people aren't going to like that statement. I'm sorry I've been burnt by afew churches. One I attended 25 years. My dad had a heart attack fighting for his life I was told to sell his stuff like he was dead, sell my dump truck company, and house and farm land and my grandparents place give 10% to them. I told him to get the F off my property and don't come back. I'm still mad and won't attend any church after that moment. Well until little over a year ago I'm still weary of it.

My cats are happy the division of aging woman was impressed by them. Who wouldn't be his cats are pretty. One is a calico and a black and white tuxedo cat.

My hair I did one video on my ficcare clip. I'm still letting it cure. I'm so excited about using. I'm going to take still shots for unTamed Tresses. I love my new home. It's a small home like community. I'd invite anyone to join there.  My hair no blog would be complete with out it. I bought a growth stimulating oil. I'm not into a lot of products but I think it's going to work. It's softee stimulating growth oil. Saturday will be my first time using it. I'm stoked already.

I didn't weigh my self this week bringing my own lunch is going great. I'm also walking a lot especially this week. Today I walked two plus miles and yesterday the same. I'm hoping to rock some new hair dos, body, and hair toys. I'm going to have fun this summer.

I'm thinking about going to college on line for book keeping accountant. It's my dream job pardon me career.

Sunday, May 17, 2015

I've saved up towards one of my goals and miss ranty pants

I've saved up towards one of my goals. I'm going to call Monday about a price quote on sending my lap top in to get the hinge and connector cable fixed. My lap top has been broke for three years ever since the country went into its recession. I still say it's a depression no body stays in a recession that long. Next will be two more lap tops to send in. I'm happy. I'm making head way. I'm glad I called my local computer shop the guy was really nice,reasonable priced, and he picked up all three. The two dells he wanted half their pricing to fix it. It was cheap enough I sent in all three and he does pick up. I can't wait to be back on my way to using a computer. Next is my mifi.

I think it's going to be the summer I get ahead. I keep saying that. I can't somehow make it. Ever since my boss and her world famous cut backs. I think a good lesson for crummy bosses is to live on the minimum wage pay they give us. Besides when did it become a bosses job to take away a persons dignity through cut backs. I've been stripped of every dignity I've had. I've gave up personal spending at beauty shops, new clothes,and eating out. I've went from a monthly cellphone to prepaid,gave up my cable, and newspaper and home phone and wifi. I don't go out anymore there's no money to go out on. I've went without food so another member at my house didn't go hungry. I think that's why I want fresh fruit. My own orchard so I don't have to do without.

Speaking of wifi I'm looking into mifi travel devices. I want a pay as you go one. I don't use the net that much. I really don't have much time for sitting on my computer so mifi could be good. I was window shopping on eBay for my mifi device. My wifi through my local provider got to be a luxury item with the prices they charge.

Rumor has it my local grocery store is getting bought out. My local store can't compete with Walmart. I can see why my local store was higher then Walmart. I guess that's what you get when you pay Peter to rob Paul. Karma kicks in.

I guess this is a gripe. Since when did pets need to eat food that's as high priced as ours. I have two cats they eat more costly and quantity wise. If I did them the way I do myself I'd be behind bars. I can starve myself or cut back no one says a word starve a pet you're behind bars. Don't get me wrong but when did it become alright to starve humans? I think the playing field needs leveled. People don't need to pay huge prices for average food or pet food. Something's got to give.

Healthcare is so messed up its unreal. It keeps going up why because we have to have it because our dictator says so. Say what that's messed up a dictator saying you have to be insured. My insurance is high due to it being mandatory. What a reason to raise prices?

My weight loss total 2.2 (2 pounds 2 ounces) I'm hoping to lose 10 more pounds and be at my healthy weight.  It's not going fast enough and I'm going to take things up a bit bringing my own food no more unknown calories or nutrition.

My hair I measured it May 16 I gained an inch and my hair seems a bit thinner but it's picking up. I'm hoping I can keep on growing. I have the last three videos out. I have more hair styles to do and as promised a bang trimming cutting video.

I'm done posting videos for a while. I'm going to make some more and I'm going to make some about hair toys. The next one will be messy but fun. I'm not going to give it away just wait until the video comes out.

Friday, May 15, 2015

# Someone pasted records of molecules at this point
-- begin --
This record from OMol25 describes a structure of composition C31H46BrFeGeN2O4SeSi. The level of theory is wB97M-V/def2-TZVPD.

Each line ends with the Mulliken charge.
Element x y z (Å)
Fe (-0.88410, -0.51486, -0.78016)  2.11
Br (4.33205, -4.22888, 3.17278)  -0.19
C (3.28083, -2.96549, 2.12399)  -0.29
C (3.92220, -2.38573, 0.99479)  -0.60
C (3.15329, -1.68835, 0.08759)  -0.74
C (1.81922, -1.24222, 0.38952)  0.31
O (1.12528, -0.72930, -0.56116)  -0.24
C (1.28105, -1.55440, 1.72131)  2.00
C (-0.02454, -1.08604, 2.09973)  -2.00
N (-0.75139, -0.21338, 1.39790)  0.47
C (-0.66140, 1.14273, 1.77984)  -0.07
C (-0.43280, 1.64455, 3.06623)  -0.37
C (-0.40556, 3.00273, 3.30123)  -1.22
C (-0.47534, 3.93246, 2.27911)  -0.77
C (-0.63250, 3.48360, 0.93702)  1.22
C (-0.71472, 4.39870, -0.12757)  -0.78
C (-1.02091, 3.87369, -1.38078)  -1.08
C (-1.13260, 2.51771, -1.59841)  -0.76
N (-0.88016, 1.61287, -0.60018)  0.86
C (-0.72961, 2.10238, 0.70132)  0.32
C (1.96016, -2.53057, 2.49107)  -1.01
H (4.95694, -2.62246, 0.76958)  0.50
H (3.58091, -1.44554, -0.87963)  0.44
H (-0.41661, -1.47293, 3.03383)  0.52
H (-0.24929, 0.93800, 3.87236)  0.44
H (-0.38233, 3.34481, 4.31097)  0.45
H (-0.50824, 5.01614, 2.47603)  0.36
H (-0.70602, 5.47093, 0.03542)  0.47
H (-1.26524, 4.57837, -2.22509)  0.36
H (-1.39522, 2.11402, -2.55474)  0.67
H (1.65731, -2.84323, 3.47447)  0.51
C (-2.27253, -3.90403, 0.72609)  -1.46
C (-1.68422, -3.76910, -0.71274)  1.22
C (-2.56175, -4.61977, -1.73924)  -1.75
C (-0.23221, -4.24981, -0.54419)  -1.57
O (-1.69418, -2.42310, -1.12428)  0.44
Ge (-2.50406, -1.63391, -2.75549)  -0.68
O (-2.80476, -0.18091, -1.53929)  0.01
C (-4.14261, 0.17508, -1.13481)  1.18
C (-4.06008, 1.03482, 0.13629)  -1.44
C (-4.74352, 0.94151, -2.35772)  -1.45
C (-4.96256, -1.13122, -0.96399)  -1.47
O (-0.79812, -0.65654, -2.82024)  0.14
C (0.23015, -1.00498, -3.78879)  1.17
C (0.72956, -2.40884, -3.47552)  -0.98
C (1.35817, -0.01123, -3.68490)  -1.61
C (-0.35312, -0.91749, -5.18993)  -1.61
H (-2.23304, -4.94639, 1.04592)  0.50
H (-3.33508, -3.60614, 0.72977)  0.31
H (-1.78820, -3.29297, 1.47577)  0.16
H (-2.79091, -5.62064, -1.39089)  0.43
H (-2.15619, -4.64351, -2.73620)  0.34
H (-3.53578, -4.05800, -1.79724)  0.40
H (-0.10850, -5.19123, 0.04699)  0.44
H (0.27719, -3.44588, -0.00773)  0.36
H (0.32449, -4.38986, -1.45648)  0.24
H (-3.60447, 2.00604, -0.01354)  0.27
H (-3.43068, 0.50613, 0.87009)  0.16
H (-5.01929, 1.22129, 0.62390)  0.49
H (-4.47472, 2.00734, -2.34020)  0.33
H (-5.79039, 0.78716, -2.41846)  0.48
H (-4.40755, 0.55861, -3.34314)  0.21
H (-4.54269, -1.80876, -0.23546)  0.11
H (-5.04363, -1.61922, -1.93422)  0.49
H (-5.97202, -0.95237, -0.59037)  0.50
H (1.22549, -2.41004, -2.49081)  -0.05
H (1.50392, -2.81312, -4.14139)  0.57
H (-0.09606, -3.11580, -3.34214)  0.10
H (1.87475, -0.13395, -2.70107)  0.13
H (0.98834, 0.99776, -3.73800)  0.32
H (1.98366, -0.21009, -4.55382)  0.58
H (-1.12935, -1.73288, -5.29815)  0.31
H (0.45134, -1.07838, -5.96913)  0.42
-- stop --
# Back to the entry

More videos on hair

Rainy blues

I'm tired of the rain messing up my plans. I've rescheduled my eyebrow waxing appointment due to the rain. I mean rescheduled three plus weeks in a row. It's getting to be a pain in the butt.

I'm also tired of the rain messing up my ground work for my orchard. I can't cut and haul off brush due to the rainstorms. I'm also afraid that we will flood or not have rain when we need it.

My hair forks from Australia arrived Monday night. I got them off of eBay the store is Javacentric they're great they've combined shipping and are willing to help you if you use an iPhone like I do. I give them A+ in service.

I did get a good deal on Folgers coffee for my dad I got it on sale at Dollar General. I think it was $.75 cents off. This day and age any price break is great.

I did try a new hair do a psyche knot 1910 hair style I'm only at waist my hair needs to be full hip length to do this. I'm not real sad my hair needs to be able to make one more coil around the first twist to be able to secure with my three or four prong fork. I only have a three prong. When I go to hip I'm getting a four prong. My hair is 6 to 8 inches from my hip.

I was asked what I did with my hair toys when they become nonfunctional for my hair length. I have one hair fork that's small when I can't use it in a full up do I will use it in my half up dos.

I haven't been shopping for along time. I'm saving up to get my lap top fixed. I'm making this happen. After I get this done I hope by fall I will buy a few nice things.

Saturday, May 9, 2015

Videos on hairtoys holding the cinnamon bun

My hair videos I didn't get around to using my forks. I will add them using a cinnamon bun. The quality isn't too great it's hard to set a camera on a stand and do your hair

Thursday, May 7, 2015

Week after May Day

It's a week after May Day and I've been working on a video for my past and present bang styles. I found my current style on a girl in the 1970's movie Dual. The blonde girl Shawn on the stalled school bus. That made me think about the best method to do it myself. I seen YouTube videos that were complicated. I was about to give up then I found how to cut children's hair a book. I'm lucky my libuary had it. It's perfect, children hate hair cuts it has to be fast, easy, and stylish. Another disappointment they have a website and the diagram I used. I don't know if it's copy right invasion if I do their method on a wig. I will have to research this.

My research on a few topics this week lead me to the big video issue on here. How do I creat one? I found the answer and marked it to my home page for easy finding. Next is finding the time to shoot one and a wig with a stand. Then I will need a camera man to hold my camera. Next is making a make shift tripod.

On to the positive I started my diet 2 weeks ago. I've been slowly gaining weight for three years now. I'm proud to say I can fit into a long line bra I got this winter and it was 3 inches too short so it didn't fasten. I didn't weigh myself back then. I weighed myself this week I lost 2 pounds 3 ounces. I use my fitness pal and pacer. They're free fitness apps.

On the orchard front. I'm going to work on it when the rains break. I did haul off two loads of brush and 17 tons to go. I know you plant fruit trees in the fall but my land needs prepared and made ready. I'm happy to try this. I'm hoping I love my trees.

I'm going to wear full make up. I got my missing items last week. I'm so loving my new found feminity.

I put on my google plus page about my hair forks and hair toys. I know some followers liked them. I have more I'll add when they arrive. They're traveling from Australia to here. I got my pink, blue, and purple two prong fork from eBay. This fork traveled from Hawaii to here. It's the first two prong fork I've owned.

I've been wondering what other things I could video blog about. I sew by hand and I've only started that September 2014: I wrote about my hair bag in my first blog. Keep children from sticking gum in my hair. I got the idea from a video on YouTube. I make my own scrunchi pony tails and bows for my French barrettes. I do crafts make the tops on my hair sticks. I use a picture hanging kit screw eye hooks screwed into the hole and bead wire through the hole and add beads. When you're done stringing beads tie it off. The other is 18 gauge pin heads, add beads, useE6000 glue into the hole (my sticks are premade and holes drilled in them) put the glue into the hole insert head pin. All the items I bought off of eBay various shops. I mentioned a few eBay shops on my google plus page.

Friday, May 1, 2015

Mayday and the beginning

It's May Day and I'm celebrating it by wearing a white plain t shirt and long colorful skirt. I loved wearing a skirt. It's been 8 years since I've worn one. I've been wearing pants and shorts. Next is make up. I'm going to wear make up and improve my looks.

I was outside this week I'm measuring and figuring up my mini orchard. I'm going to do this and start saving up for canning goods.  I did tease arch my trees it will take three years for my trees to mature. I do think this is my calling. I thought sewing was my calling too. No one mends or recycle old things anymore.

Hair tidbit. I'm saving up now due to my hair fork buying spree. I want to get my lap tops fixed. I'm going to do that this summer all three of them. I've set up a fund saving can as I call it. I'm that serious about saving up for this cause.

Second hair tidbit. I'm going to post a video on how to do your bangs like mine. I'm going to buy a wig and block for for the demo. It's hard to cut and talk about your hair. I finally figured out how to do this.